SXSW Organizers Under Fire for Canceling GamerGate Panels
One panel on online harassment and another organized by pro-Gamergate speakers have been canceled because of threats to the festival.
Misplaced quantum chemistry results:
┌──
Entry 1:
Molecular formula: C20H55INO19P4Si2
Method: DFT, wB97M-V/def2-TZVPD

Values from the calculation:
M = 920.6 g/mol
2S+1 = 1
Strongest force on any atom = 0.116 hartree/bohr
Net charge = -1
Gap between HOMO and LUMO = 5.89 eV

Atoms and positions in Å:
I  5.26997  1.58320  -2.10568
P  10.12720  -1.02889  -4.77897
P  -2.03336  5.60395  2.50460
P  0.50347  -2.35860  5.90773
P  -7.40834  -1.70243  -1.18419
Si  0.47072  -1.05761  -3.04306
Si  -1.10442  -1.27182  -0.62103
O  0.03594  -2.03631  -1.67720
O  10.82098  -2.36557  -5.32317
O  -1.48413  5.41140  3.99545
O  -8.24848  -2.87919  -0.48372
O  -8.02075  -1.59814  -2.65618
O  0.76366  -1.18061  6.96772
O  -0.24082  -3.48841  6.76372
O  -7.95034  -0.37110  -0.47887
O  -3.58557  5.96024  2.70866
O  8.76015  -0.93537  -5.61185
O  1.94700  -2.99598  5.65864
O  10.96949  0.18623  -4.85486
O  0.80028  -2.41254  -5.43905
O  -1.36468  6.98412  2.05455
O  -1.78701  4.46315  1.59684
O  9.67017  -1.44430  -3.30590
O  -5.94271  -1.88631  -1.12778
O  -0.21015  -1.92887  4.68596
O  -1.37207  -1.58620  -5.25703
N  -0.78313  0.45021  -0.27931
C  -0.31024  0.09523  2.25990
C  -1.62029  -3.28961  7.03421
C  11.47461  -2.28789  -6.58064
C  2.87112  -2.24715  4.88243
C  3.25879  1.63016  -3.00701
C  -1.20247  0.83345  1.12729
C  -0.08425  -1.77028  -4.74213
C  -1.78587  4.18221  4.64106
C  -1.62652  7.44218  0.73653
C  -9.63635  -2.99637  -0.75418
C  -3.35150  -0.38407  -2.30389
C  -7.45950  -0.08462  0.82195
C  -7.69848  -2.63050  -3.57673
C  -2.89040  -1.56250  -1.31351
C  2.97277  0.29770  -3.87935
C  -3.94187  7.21279  3.27288
C  9.03379  -0.45463  -2.51073
C  7.72495  -1.87681  -5.35952
C  1.71172  -1.37771  8.00547
C  2.40968  -0.93254  -3.00538
H  -0.91595  -0.81628  2.61583
H  -2.32274  0.68972  1.30600
H  -1.73320  -2.63989  7.90491
H  -3.12676  7.65001  3.85329
H  2.44524  -1.30513  4.52995
H  -8.03785  -0.64121  1.56287
H  7.24207  -2.13324  -6.30262
H  -3.56847  -1.57254  -0.37416
H  2.51586  1.78875  -2.15603
H  -10.15112  -3.29608  0.15933
H  -2.54156  -0.00460  -3.01032
H  -2.12621  8.41216  0.79563
H  8.10292  -2.79018  -4.89566
H  -0.67939  7.56457  0.20984
H  -7.21881  -2.18825  -4.45054
H  6.98408  -1.41618  -4.70128
H  3.17837  -2.84530  4.02391
H  0.72415  -0.21880  1.89041
H  12.20883  -3.09329  -6.64093
H  -6.40088  -0.33688  0.91444
H  -2.13676  -2.85172  6.17738
H  -4.18092  -0.82215  -2.97768
H  -8.62327  -3.12085  -3.89094
H  -3.75675  0.50415  -1.68772
H  -2.07469  -4.25776  7.25174
H  8.02962  -0.80217  -2.25734
H  8.95577  0.50331  -3.02941
H  1.89302  -2.43638  8.20221
H  -4.80520  7.07481  3.92451
H  -1.06335  -2.04020  0.64849
H  2.83858  -1.91755  -3.40117
H  2.32072  0.48940  -4.80086
H  -7.03193  -3.37790  -3.14105
H  0.19519  0.72284  -0.43970
H  -0.98641  1.97305  1.25798
H  3.25837  2.52937  -3.72891
H  -4.21851  7.89582  2.46559
H  -0.15074  0.27162  -2.87362
H  -2.26123  6.75057  0.17830
H  4.00810  -0.02704  -4.28154
H  -2.78483  4.23408  5.07951
└──

Safety concerns have been cited as the primary reason for the sudden cancelations of two South by Southwest panels within the last 24 hours — a decision that is being critiqued across social media today and led to a boycott of the festival by two prominent media outlets.
To the uninitiated, Gamergate began in August 2014 as #GamerGate, an excuse for men to threaten and intimidate women out of the gaming space on social media. In October 2014, feminist cultural critic Anita Sarkeesian was forced to cancel a talk on the stereotypes of women in video games when an individual allied with Gamergate threatened her venue with mass violence.
Hugh Forest, director of South by Southwest Interactive, announced Monday the immediate cancelation of the panels “Level Up: Overcoming Harassment in Games” and “SavePoint: A Discussion on the Gaming Community,” after saying the SXSW received “numerous threats of on-site violence related to this programming.”
While neither panel was explicitly organized to discuss Gamergate, the later panel featured pro-Gamergate speakers while the former featured women who have specifically been targets of Gamergate vitriol.
In response to the cancelation of panels, BuzzFeed and then Vox Media announced they were canceling their panels in protest.
Sarkeesian called for SXSW to bring back its “Level Up: Overcoming Harassment in Games” panel and straight-up apologize for approving “SavePoint: A Discussion on the Gaming Community” in the first place:
In his statement on, Forrest writes that while the festival had hoped the two panels would “lead to a valuable exchange of ideas on this very important topic” that “civil and respectful dialogue within the big tent” was more important than keeping the discussions.
While the speakers featured on the “Level Up” panel had been in contact with SXSW staff with safety concerns, panel participants have said in the aftermath that they had no intention of ever canceling their talk. One of the prospective speakers had previously been harassed and stalked by Gamergate supporters, reported Motherboard last week when the “SavePoint” panel was approved.
“We had been participating in an email discussing with SXSW about safety for our panelists,” said activist and programmer Randi Harper to Jezebel. “They seemed unconcerned at the time, so this was surprising.”
Data records that have nothing to do with the article:
No. 1
20
Properties=species:S:1:pos:R:3 method="wB97M-V/def2-TZVPD" gap_ev="8.2 / 8.2" energy_ev=-45170.469 multiplicity=1
C -0.29 1.12 1.49
C -1.29 -1.64 0.63
C 0.72 0.08 -1.34
C -2.76 3.76 -0.51
N -2.16 0.66 -0.90
F -1.42 3.77 -0.36
F -3.09 4.83 -1.19
F -3.29 3.52 0.73
Si -0.74 0.07 -0.09
S -2.95 1.64 -1.71
Cl -1.79 2.55 -3.22
H -0.24 2.14 1.33
H -1.18 0.90 2.19
H 0.52 0.74 1.97
H -1.75 -1.42 1.62
H -2.07 -2.07 0.09
H -0.50 -2.25 0.81
H 1.48 -0.72 -1.24
H 0.44 -0.13 -2.33
H 1.45 0.95 -1.28

No. 2
9
Properties=species:S:1:pos:R:3 method="wB97M-V/def2-TZVPD" smiles=N#C[C@@H](Cl)CI gap_ev=10.3 energy_ev=-25271.754 multiplicity=1
N 0.19 -2.62 -0.01
C 0.44 -1.50 0.02
C 0.48 -0.05 0.38
Cl 2.23 0.38 0.18
C -0.53 0.86 -0.47
I -2.50 0.80 0.18
H 0.22 -0.05 1.51
H -0.07 1.82 -0.35
H -0.44 0.38 -1.45

No. 3
15
Properties=species:S:1:pos:R:3 method="wB97M-V/def2-TZVPD" smiles="CC1=NCCN1O" gap_ev=9.4 energy_ev=-9300.223 multiplicity=1
C 1.97 -0.95 -0.12
C 0.59 -0.59 -0.04
N -0.40 -1.29 0.29
C -1.85 -0.68 -0.04
C -1.25 0.84 -0.09
N 0.11 0.81 -0.47
O 0.84 1.97 0.10
H 2.41 -0.63 0.76
H 2.46 -0.41 -0.96
H 1.95 -2.07 -0.26
H -1.85 -0.82 -1.16
H -2.94 -0.95 0.46
H -1.31 1.27 0.86
H -1.79 1.79 -0.55
H 1.08 1.70 1.23

Computed F_max, in the same sequence as the records: 5.13 3.43 6.42 eV/A.
Computed ΔE to the lowest compared entry with this formula, charge and spin, in the same sequence as the records: 0.00 34.59 595.34 kJ/mol.

* * * * *

The following is a quantum chemistry calculation of a structure of composition C13H9N7O11SSeW, from OMol25.

ORCA input file:
```
! wB97M-V def2-TZVPD RIJCOSX def2/J DEFGRID3
* xyz 0 1
W 0.333 -1.350 0.148
N -0.792 -4.469 3.175
C -0.510 -3.345 2.508
S -1.081 -3.188 0.881
N 0.119 -2.389 3.149
N 0.342 -1.325 2.362
C 0.746 -0.248 2.923
C 0.981 0.912 2.090
C 1.361 2.131 2.623
C 1.549 3.209 1.776
C 1.344 3.036 0.419
C 0.959 1.790 -0.040
N 0.778 0.747 0.768
H -1.093 -5.282 2.669
H -0.398 -4.585 4.094
H 0.897 -0.215 3.995
H 1.507 2.222 3.690
H 1.852 4.170 2.171
H 1.483 3.844 -0.284
H 0.790 1.621 -1.091
O 3.980 -3.071 -0.746
Se 2.690 -2.986 0.162
O 1.236 -2.973 -0.742
O 2.306 -1.342 0.587
O 2.558 -3.900 1.456
O -1.798 3.413 -4.680
N -2.404 3.085 -3.677
O -3.373 3.668 -3.229
C -1.914 1.929 -2.948
C -2.521 1.566 -1.763
C -2.041 0.480 -1.067
C -0.971 -0.375 -1.544
O -0.989 -1.677 -1.405
C -0.282 0.223 -2.677
C -0.748 1.290 -3.382
N 1.050 -0.228 -2.884
O 1.608 -0.664 -1.856
O 1.602 -0.131 -3.948
N -2.466 0.261 0.244
O -1.670 -0.396 0.974
O -3.484 0.722 0.692
H -3.340 2.149 -1.364
H -0.194 1.673 -4.229
*
```

The HOMO energy (spin up / spin down) comes out at -8.380 / -8.380 eV. The HOMO-LUMO gap (spin up / spin down) comes out at 6.41 / 6.41 eV.

=====

The following is a quantum chemistry calculation of a structure of composition C23H37Cl10F5N3O3S3, from OMol25.

ORCA input file:
```
! wB97M-V def2-TZVPD RIJCOSX def2/J DEFGRID3
* xyz 1 1
O -0.421 -0.295 0.981
S 0.731 -0.838 1.681
O 0.268 -1.314 2.993
C 1.890 0.515 2.015
N 2.077 0.899 3.369
The “SavePoint” panel featured pro-Gamergate game developers Nick Robalik and Perry Jones, Gamergate supporter Mercedes Carrera, and President of the Society of Professional Journalists Lynn Walsh.
Robalik responded to the canceled panel by saying “harassment won.”
On Monday, Jones announced on his Open Gaming Society page that he plans on organizing and hosting his planned panel outside of SXSW.
The two canceled panels were not the only SXSW talks that had a connection to Gamergate. Brianna Wu, a developer who has been rigorously harassed by Gamergate, will be on two panels at the March event in Austin, Texas.
Meanwhile, a panel that plans to discuss “the past year of Gamergate related idiocy” hasn’t been affected at all.
Glad to know that when the panel isn’t all women, criticizing Gamergate is all gravy.